“You are. Don’t you ever lie to me again,” I hissed. “Because you do too know exactly what I’m talking about. I already got Fox to spill everything. You instigated not only tonight’s little episode but all the others too. Every freaking date I’ve ever been on. How could you do that to me? I liked Ridgely, you idiot. Now he’ll never talk to me again.”

“Good,” he snorted. “Because Ridgely’s a douche.”

“He’s one of your best friends!”

“Not anymore,” Beau growled.

I blinked, wondering what had happened between them to make Beau this pissed. Because I could tell he meant it when he claimed that.

But then I decided I didn’t care


“Just...” I held up a hand in his direction, blocking him from my view. “Stay away from me. Don’t talk to me. Don’t look at me. In fact, from this point on, you’re dead to me. Got it?”

He only snorted as if I was being ridiculous and overly dramatic. “Yeah, good luck avoiding me in this family.”

I lifted my eyebrows at the challenge. “Oh? You think I can’t avoid you for the rest of my life? Well, game on, buddy. This is the last time I will ever talk to you again. Because I hate your vile, slimy freaking guts!”

I spun away to march from the room, only to remember. “And another thing,” I ordered, spinning right back to him as I shook a finger in the air. “Stay away from my brother, too.”

He only smirked. “Wow, that didn’t last long. I thought you were done talking to me forever.”

Screaming out my frustration through gritted teeth, I grabbed his wallet I saw nearby, sitting on his dresser top, and I threw that at him, finally beaning him in the face.

Next to the article, the page also holds data records >
[1]
Cr3HPt | PBE-GGA | relaxed Values from VASP.

```
&SYSTEM
  ibrav = 0, nat = 5, ntyp = 3
/
ATOMIC_SPECIES
Cr 52.00 Cr.upf
Pt 195.08 Pt.upf
H 1.01 H.upf
ATOMIC_POSITIONS angstrom
Cr 0.5692 -0.9098 -2.2130
Cr -2.1207 -1.2451 -0.0336
Cr -1.1079 1.9159 -1.0726
Pt 0.0000 0.0000 0.0000
H -2.6595 -0.2390 -3.3191
CELL_PARAMETERS angstrom
-2.2159 3.8319 -2.1452
1.1383 -1.8195 -4.4259
-4.2414 -2.4903 -0.0671
```

Summary:
* uncorrected energy: -6.10 eV/atom



[2]
Cr3HPt | PBE-GGA | relaxed Values from VASP.

```
&SYSTEM
  ibrav = 0, nat = 5, ntyp = 3
/
ATOMIC_SPECIES
Cr 52.00 Cr.upf
Pt 195.08 Pt.upf
H 1.01 H.upf
ATOMIC_POSITIONS angstrom
Cr -0.9627 -1.5183 0.5155
Cr -0.8917 1.0067 1.2997
Cr -1.3326 0.4232 -1.2421
Pt -3.1871 -0.0883 0.5731
H 0.0000 0.0000 0.0000
CELL_PARAMETERS angstrom
-2.6653 0.8465 -2.4843
-1.9255 -3.0366 1.0311
-1.7834 2.0135 2.5994
```

Summary:
* uncorrected energy: -7.72 eV/atom



[3]
CrH3Pt | PBE-GGA | relaxed Values from VASP.

```
&SYSTEM
  ibrav = 0, nat = 5, ntyp = 3
/
ATOMIC_SPECIES
Cr 52.00 Cr.upf
Pt 195.08 Pt.upf
H 1.01 H.upf
ATOMIC_POSITIONS angstrom
Cr 0.0000 0.0000 0.0000
Pt 1.6593 1.6593 1.6593
H 0.0000 1.6593 0.0000
H 0.0000 0.0000 1.6593
H 1.6593 0.0000 0.0000
CELL_PARAMETERS angstrom
3.3186 0.0000 0.0000
0.0000 3.3186 0.0000
0.0000 0.0000 3.3186
```

Summary:
* uncorrected energy: -4.75 eV/atom



[4]
CrH3Pt | PBE-GGA | relaxed Values from VASP.

```
&SYSTEM
  ibrav = 0, nat = 5, ntyp = 3
/
ATOMIC_SPECIES
Cr 52.00 Cr.upf
Pt 195.08 Pt.upf
H 1.01 H.upf
ATOMIC_POSITIONS angstrom
Cr 1.7796 1.7796 1.7796
Pt 0.0000 0.0000 0.0000
H 0.0000 1.7796 0.0000
H 0.0000 0.0000 1.7796
H 1.7796 0.0000 0.0000
CELL_PARAMETERS angstrom
3.5593 0.0000 0.0000
0.0000 3.5593 0.0000
0.0000 0.0000 3.5593
```

Summary:
* uncorrected energy: -5.00 eV/atom



[5]
CrHPt | PBE-GGA | relaxed Values from VASP.

```
&SYSTEM
  ibrav = 0, nat = 6, ntyp = 3
/
ATOMIC_SPECIES
Cr 52.00 Cr.upf
Pt 195.08 Pt.upf
H 1.01 H.upf
ATOMIC_POSITIONS angstrom
Cr 1.1874 3.0811 1.7027
Cr 2.1967 3.5152 4.2728
Pt 2.5490 0.7321 1.5107
Pt 0.8351 5.8642 4.4647
H 2.3840 2.4541 2.8564
H 1.0000 4.1422 3.1191
CELL_PARAMETERS angstrom
2.6981 -0.0516 0.3968
0.0050 4.7457 0.5708
0.6810 1.9022 5.0079
```

Summary:
* uncorrected energy: -6.34 eV/atom



[6]
CrH2Pt | PBE-GGA | relaxed Values from VASP.

```
&SYSTEM
  ibrav = 0, nat = 8, ntyp = 3
/
ATOMIC_SPECIES
Cr 52.00 Cr.upf
Pt 195.08 Pt.upf
H 1.01 H.upf
ATOMIC_POSITIONS angstrom
Cr 0.3772 -0.7757 2.7534
Cr 0.5031 1.2587 4.8211
Pt 0.0000 0.0000 0.0000
Pt -1.8004 -0.4703 4.6495
H -1.3349 -0.8005 2.9074
H 0.8749 0.8068 3.2045
H -1.1907 1.1963 5.1090
H -0.9439 0.3742 7.7202
CELL_PARAMETERS angstrom
-1.9263 -2.5048 2.5818
2.6806 0.9533 2.9250
-2.0517 2.3398 3.9639
```

Summary:
* uncorrected energy: -5.41 eV/atom



[7]
Cr2H2Pt | PBE-GGA | relaxed Values from VASP.

```
&SYSTEM
  ibrav = 0, nat = 5, ntyp = 3
/
ATOMIC_SPECIES
Cr 52.00 Cr.upf
Pt 195.08 Pt.upf
H 1.01 H.upf
ATOMIC_POSITIONS angstrom
Cr 1.6580 1.6580 1.3716
The data records stop here >

“Oww!” Glaring at me, he clutched his left cheek with one hand and pointed at me with the other. “I swear to God, if you do that again—”

-- These data records were left in the entry by mistake --
/*
{"formula": "Cs3Li2I5", "functional": "PBEsol", "state": "optimized geometry", "lattice": [[14.9459, -2.3727, 0.0000], [14.9459, 2.3727, 0.0000], [-2.1931, 0.0000, 11.8273]], "species": ["Cs", "Cs", "Cs", "Cs", "Cs", "Cs", "Li", "Li", "Li", "Li", "I", "I", "I", "I", "I", "I", "I", "I", "I", "I"], "fractional_positions": [[0.0558, 0.0558, 0.1528], [0.0676, 0.0676, 0.6560], [0.2540, 0.2540, 0.2597], [0.7460, 0.7460, 0.7403], [0.9324, 0.9324, 0.3440], [0.9442, 0.9442, 0.8472], [0.3567, 0.3567, 0.0330], [0.3580, 0.3580, 0.5829], [0.6420, 0.6420, 0.4171], [0.6433, 0.6433, 0.9670], [0.1785, 0.1785, 0.8996], [0.1786, 0.1786, 0.5159], [0.3433, 0.3433, 0.8009], [0.4486, 0.4486, 0.1055], [0.4501, 0.4501, 0.5960], [0.5499, 0.5499, 0.4040], [0.5514, 0.5514, 0.8945], [0.6567, 0.6567, 0.1991], [0.8214, 0.8214, 0.4841], [0.8215, 0.8215, 0.1004]], "magmom_total_mub_per_cell": 0.00, "dos_at_fermi_per_ev_atom": 0.000, "raw_formation_energy_ev_per_atom": -1.408, "total_energy_ev_per_atom": -2.968}
*/

“You’ll what?”

When he didn’t have a ready threat to back up his warning, I rolled my eyes.

“Stay away from my brother,” I repeated. “He doesn’t need your kind of bad influence in his life. Why are you suddenly hanging out with him so much this year, anyway? He’s a freaking freshman. You’re a senior. That just makes you look so much lamer than you already are, you know.”

“Hey, I’m taking him under my wing,” he snapped, still dabbing at his cheek and poking his tongue at the spot from the inside, testing its soreness.

Hoping I hadn’t permanently damaged his pretty features, I winced, then sniffed at myself for worrying even a second, and I countered with, “Well, you didn’t take Trick under your wing last year when he was a freshman.”

He scowled at me. “Trick didn’t need any guiding.”

“Neither does Fox.” With a snort, I added, “He’d be better off guided by a blind, forty-year-old virgin who’d never even been to high school.”

“What’s that supposed to mean?” he demanded. “Are you insinuating that I have no game with girls?”

That seemed like the holy grail of insults to him, so I was going to run with it as fast as I could. Except I noticed his wallet on the floor where it had landed, fallen open, and was exposing one of the pictures he had in the plastic sleeves.

Blinking, I tilted my head and stepped closer, not quite able to see it clearly from here. But it kind of looked like my senior picture. The color of hair seemed right as did the clothing and one of the stances I had posed in.

“Is that—?” I took another step forward.

Noticing the direction of my attention, Beau looked down. His eyes widened in horror.

“Shit.” Diving forward into my path, he held up a hand to block my view and shouted, “Get out!” Then he bent down, snagged up the wallet, and flipped it shut, where he pressed it against his stomach to keep it from me. When I just blinked at him, he exploded.

“Are you deaf? I said go!”

Confused and rattled, I tripped a step backward. When I bumped into his dresser, I spun away and darted from his room, slamming the door behind me.

My breaths came in strange puffs and my chest felt tight and confined. My steps were rushed, but I didn't outright run.